Listing >
........
A geometry-optimized InNiCl3 structure, computed with GGA-PBE.

abc: 4.767 4.767 4.767
angles: 90.00 90.00 90.00
Fractional positions:
Ni: 0.000 0.000 0.000
Cl: 0.500 0.000 0.000
Cl: 0.000 0.500 0.000
Cl: 0.000 0.000 0.500
In: 0.500 0.500 0.500

**Formation energy from raw total energies**: -0.587 eV/atom

---

A geometry-optimized Li6Sn2P structure, computed with GGA-PBE.

abc: 3.026 7.607 7.940
angles: 118.63 90.00 90.00
Fractional positions:
Li: 0.000 0.990 0.320
Li: 0.000 0.010 0.680
Li: 0.000 0.671 0.680
Li: 0.500 0.274 0.000
Li: 0.000 0.329 0.320
Li: 0.500 0.726 0.000
Sn: 0.500 0.328 0.655
Sn: 0.500 0.672 0.345
P: 0.000 0.000 0.000

**ΔH_f (0 K)**: -0.408 eV/atom

---

A geometry-optimized TaPI3 structure, computed with GGA-PBE.

abc: 5.442 5.442 5.442
angles: 90.00 90.00 90.00
Last column: magnetic moment on the atom in μB.
Fractional positions:
I: 0.000 0.000 0.500  -0.01
I: 0.000 0.500 0.000  -0.02
I: 0.500 0.000 0.000  -0.01
P: 0.000 0.000 0.000  -0.01
Ta: 0.500 0.500 0.500  2.32

**Formation energy from raw total energies**: 1.272 eV/atom

---

A geometry-optimized Pm3HoZr2N6 structure, computed with GGA-PBE.

abc: 5.951 5.951 6.027
angles: 99.46 99.46 120.00
Fractional positions:
Pm: 0.500 0.500 0.500
Pm: 0.166 0.834 0.500
Pm: 0.834 0.166 0.500
N: 0.925 0.581 0.775
N: 0.730 0.730 0.223
N: 0.075 0.419 0.225
N: 0.581 0.925 0.775
N: 0.270 0.270 0.777
N: 0.419 0.075 0.225
Zr: 0.334 0.666 0.000
Zr: 0.666 0.334 0.000
Ho: 0.000 0.000 0.000

**Formation energy from raw total energies**: -1.599 eV/atom

---

A geometry-optimized KP2H8 structure, computed with GGA-PBE.

abc: 6.899 4.193 5.017
angles: 114.70 109.33 90.00
Fractional positions:
K: 0.000 0.000 0.000
H: 0.414 0.172 0.343
H: 0.912 0.284 0.568
H: 0.338 0.128 0.749
H: 0.338 0.621 0.749
H: 0.662 0.872 0.251
H: 0.586 0.828 0.657
H: 0.088 0.716 0.432
H: 0.662 0.379 0.251
P: 0.332 0.768 0.536
P: 0.668 0.232 0.464

**Energy**: -37.751 eV/cell

---

A geometry-optimized Cs5H4Au structure, computed with GGA-PBE.

abc: 4.607 6.754 12.408
angles: 105.79 100.70 90.00
Fractional positions:
H: 0.605 0.605 0.210
H: 0.206 0.206 0.412
H: 0.395 0.395 0.790
H: 0.794 0.794 0.588
Cs: 0.617 0.117 0.233
Cs: 0.383 0.883 0.767
Cs: 0.802 0.302 0.604
Cs: 0.000 0.500 0.000
Cs: 0.198 0.698 0.396
Au: 0.000 0.000 0.000

**Energy**: -22.763 eV/cell

* * * * *

# Ce5GaOs2 PBE optimized geometry
# V	30.942	Å³ per atom
# E above lowest polymorph	0.2694	eV per atom
# symmetry	No. 63
data_Ce5GaOs2
_cell_length_a 5.595
_cell_length_b 7.291
_cell_length_c 13.144
_cell_angle_alpha 90.00
_cell_angle_beta 90.00
_cell_angle_gamma 112.56
_symmetry_space_group_name_H-M 'P 1'
_symmetry_Int_Tables_number 1
loop_
_symmetry_equiv_pos_as_xyz
'x,y,z'
loop_
_atom_site_label
_atom_site_fract_x
_atom_site_fract_y
_atom_site_fract_z
_atom_site_occupancy
Ce1 0.334 0.669 0.453 1
Ga1 0.223 0.446 0.250 1
Os1 0.145 0.289 0.949 1
Ce2 0.666 0.331 0.953 1
Ce3 0.219 0.439 0.750 1
Ce4 0.781 0.561 0.250 1
Ce5 0.961 0.922 0.869 1
Ce6 0.666 0.331 0.547 1
Ga2 0.777 0.554 0.750 1
Os2 0.855 0.711 0.051 1
Os3 0.855 0.711 0.449 1
Ce7 0.039 0.078 0.131 1
Ce8 0.039 0.078 0.369 1
Ce9 0.961 0.922 0.631 1
Os4 0.145 0.289 0.551 1
Ce10 0.334 0.669 0.047 1

=====

# Ce3Ga9Os2 PBE optimized geometry
# V	18.536	Å³ per atom
# symmetry	No. 71
data_Ce3Ga9Os2
_cell_length_a 4.370
_cell_length_b 8.163
_cell_length_c 8.163
_cell_angle_alpha 70.62
_cell_angle_beta 74.47
_cell_angle_gamma 74.47
_symmetry_space_group_name_H-M 'P 1'
_symmetry_Int_Tables_number 1
loop_
_symmetry_equiv_pos_as_xyz
'x,y,z'
loop_
_atom_site_label
_atom_site_fract_x
_atom_site_fract_y
_atom_site_fract_z
_atom_site_occupancy
Ce1 0.699 0.301 0.301 1
Ce2 0.000 0.000 0.000 1
Ga1 0.653 0.986 0.709 1
Ga2 0.869 0.850 0.413 1
Os1 0.500 0.328 0.672 1
Ga3 0.131 0.150 0.587 1
Ce3 0.301 0.699 0.699 1
Ga4 0.000 0.500 0.500 1
Os2 0.500 0.672 0.328 1
Ga5 0.653 0.709 0.986 1
Ga6 0.869 0.413 0.850 1
Ga7 0.347 0.291 0.014 1
Ga8 0.347 0.014 0.291 1
Ga9 0.131 0.587 0.150 1

=====
........
Wanted >
Quote only the last part of the lines further above, starting with the line that has "In: 0.500".
Written answer >
In: 0.500 0.500 0.500

**Formation energy from raw total energies**: -0.587 eV/atom

---

A geometry-optimized Li6Sn2P structure, computed with GGA-PBE.

abc: 3.026 7.607 7.940
angles: 118.63 90.00 90.00
Fractional positions:
Li: 0.000 0.990 0.320
Li: 0.000 0.010 0.680
Li: 0.000 0.671 0.680
Li: 0.500 0.274 0.000
Li: 0.000 0.329 0.320
Li: 0.500 0.726 0.000
Sn: 0.500 0.328 0.655
Sn: 0.500 0.672 0.345
P: 0.000 0.000 0.000

**ΔH_f (0 K)**: -0.408 eV/atom

---

A geometry-optimized TaPI3 structure, computed with GGA-PBE.

abc: 5.442 5.442 5.442
angles: 90.00 90.00 90.00
Last column: magnetic moment on the atom in μB.
Fractional positions:
I: 0.000 0.000 0.500  -0.01
I: 0.000 0.500 0.000  -0.02
I: 0.500 0.000 0.000  -0.01
P: 0.000 0.000 0.000  -0.01
Ta: 0.500 0.500 0.500  2.32

**Formation energy from raw total energies**: 1.272 eV/atom

---

A geometry-optimized Pm3HoZr2N6 structure, computed with GGA-PBE.

abc: 5.951 5.951 6.027
angles: 99.46 99.46 120.00
Fractional positions:
Pm: 0.500 0.500 0.500
Pm: 0.166 0.834 0.500
Pm: 0.834 0.166 0.500
N: 0.925 0.581 0.775
N: 0.730 0.730 0.223
N: 0.075 0.419 0.225
N: 0.581 0.925 0.775
N: 0.270 0.270 0.777
N: 0.419 0.075 0.225
Zr: 0.334 0.666 0.000
Zr: 0.666 0.334 0.000
Ho: 0.000 0.000 0.000

**Formation energy from raw total energies**: -1.599 eV/atom

---

A geometry-optimized KP2H8 structure, computed with GGA-PBE.

abc: 6.899 4.193 5.017
angles: 114.70 109.33 90.00
Fractional positions:
K: 0.000 0.000 0.000
H: 0.414 0.172 0.343
H: 0.912 0.284 0.568
H: 0.338 0.128 0.749
H: 0.338 0.621 0.749
H: 0.662 0.872 0.251
H: 0.586 0.828 0.657
H: 0.088 0.716 0.432
H: 0.662 0.379 0.251
P: 0.332 0.768 0.536
P: 0.668 0.232 0.464

**Energy**: -37.751 eV/cell

---

A geometry-optimized Cs5H4Au structure, computed with GGA-PBE.

abc: 4.607 6.754 12.408
angles: 105.79 100.70 90.00
Fractional positions:
H: 0.605 0.605 0.210
H: 0.206 0.206 0.412
H: 0.395 0.395 0.790
H: 0.794 0.794 0.588
Cs: 0.617 0.117 0.233
Cs: 0.383 0.883 0.767
Cs: 0.802 0.302 0.604
Cs: 0.000 0.500 0.000
Cs: 0.198 0.698 0.396
Au: 0.000 0.000 0.000

**Energy**: -22.763 eV/cell

* * * * *

# Ce5GaOs2 PBE optimized geometry
# V	30.942	Å³ per atom
# E above lowest polymorph	0.2694	eV per atom
# symmetry	No. 63
data_Ce5GaOs2
_cell_length_a 5.595
_cell_length_b 7.291
_cell_length_c 13.144
_cell_angle_alpha 90.00
_cell_angle_beta 90.00
_cell_angle_gamma 112.56
_symmetry_space_group_name_H-M 'P 1'
_symmetry_Int_Tables_number 1
loop_
_symmetry_equiv_pos_as_xyz
'x,y,z'
loop_
_atom_site_label
_atom_site_fract_x
_atom_site_fract_y
_atom_site_fract_z
_atom_site_occupancy
Ce1 0.334 0.669 0.453 1
Ga1 0.223 0.446 0.250 1
Os1 0.145 0.289 0.949 1
Ce2 0.666 0.331 0.953 1
Ce3 0.219 0.439 0.750 1
Ce4 0.781 0.561 0.250 1
Ce5 0.961 0.922 0.869 1
Ce6 0.666 0.331 0.547 1
Ga2 0.777 0.554 0.750 1
Os2 0.855 0.711 0.051 1
Os3 0.855 0.711 0.449 1
Ce7 0.039 0.078 0.131 1
Ce8 0.039 0.078 0.369 1
Ce9 0.961 0.922 0.631 1
Os4 0.145 0.289 0.551 1
Ce10 0.334 0.669 0.047 1

=====

# Ce3Ga9Os2 PBE optimized geometry
# V	18.536	Å³ per atom
# symmetry	No. 71
data_Ce3Ga9Os2
_cell_length_a 4.370
_cell_length_b 8.163
_cell_length_c 8.163
_cell_angle_alpha 70.62
_cell_angle_beta 74.47
_cell_angle_gamma 74.47
_symmetry_space_group_name_H-M 'P 1'
_symmetry_Int_Tables_number 1
loop_
_symmetry_equiv_pos_as_xyz
'x,y,z'
loop_
_atom_site_label
_atom_site_fract_x
_atom_site_fract_y
_atom_site_fract_z
_atom_site_occupancy
Ce1 0.699 0.301 0.301 1
Ce2 0.000 0.000 0.000 1
Ga1 0.653 0.986 0.709 1
Ga2 0.869 0.850 0.413 1
Os1 0.500 0.328 0.672 1
Ga3 0.131 0.150 0.587 1
Ce3 0.301 0.699 0.699 1
Ga4 0.000 0.500 0.500 1
Os2 0.500 0.672 0.328 1
Ga5 0.653 0.709 0.986 1
Ga6 0.869 0.413 0.850 1
Ga7 0.347 0.291 0.014 1
Ga8 0.347 0.014 0.291 1
Ga9 0.131 0.587 0.150 1

=====